Is Jesus in your Christmas?

Is Jesus in your Christmas?

This Christmas, make sure you spend some time being quiet. I know that sounds crazy. Many of us have end of year gatherings, shopping and food preparation to do, children home from school, holidays to pack for, and church events to be involved in. Some of us even have Christmas sermons to write! There are many things calling us to be busy; yet what we need is some time to think.

There is a separate temptation for the introverts among us, like myself. I admit I hate the loud bustle of the shops this time of year and avoid them as much as possible. I like quiet and space. I can easily fill that quiet with the cricket and with good books; it’s still full, but in a different way.

Christians love to say that Jesus is the reason for the season, and we truly believe that Jesus is the most important thing to celebrate at Christmas. Yet I want to ask one simple question: do our lives show that this is true? If you had a hidden camera following you this time of year, would the documentary makers conclude that Jesus was a big part of your Christmas celebration? Or would our celebrations look much like those who don’t know Jesus?

We need time to reflect on Jesus and pray, yet the busyness of life this time of year often means that these things get pushed back and often don’t happen. Here are a few simple ideas to make sure you have more Jesus in your Christmas:

  • Come to church. I know that’s not particularly insightful or novel, but it matters a great deal. Sing the carols, hear about Jesus again, and you will be encouraged. Build your family traditions around the church events so you don’t skip this important reminder.
  • Carve out time to pray. It doesn’t need to be hours and hours, but if you take a few minutes either at the start or end of the day to thank God for Jesus, then He will be on your mind as you go through your other busy tasks.
  • Think through how to include Jesus in your children’s Christmas. Some families have advent calendars that have Bible verses each day. Some have the tradition of reading the narratives of the birth of Jesus together or some book like The Biggest Story by Kevin de Young which recounts the plan of God in a way kids grasp and respond to.
  • Look for an opportunity to speak to a non-Christian friend about what Christmas means to you. That will change your perspective. Many genuinely have no idea of the account of Jesus, and your efforts might well lead to future helpful conversations.

What comes next are crystal structures, not part of the article =
+++
No. 1
{
  "formula": "FeHO2",
  "functional": "PBE with a Hubbard U",
  "state": "optimized geometry",
  "vol_a3_per_atom": 11.5,
  "sg": "P1, No. 1",
  "final_energy_ev_per_fu": -23.51,
  "cell": [[-1.659, -4.921, -3.238], [9.076, 1.596, -5.371], [5.589, -6.156, 7.645]],
  "species": ["H", "H", "H", "H", "H", "H", "H", "H", "H", "H", "H", "H", "H", "H", "H", "H", "O", "O", "O", "O", "O", "O", "O", "O", "O", "O", "O", "O", "O", "O", "O", "O", "O", "O", "O", "O", "O", "O", "O", "O", "O", "O", "O", "O", "O", "O", "O", "O", "Fe", "Fe", "Fe", "Fe", "Fe", "Fe", "Fe", "Fe", "Fe", "Fe", "Fe", "Fe", "Fe", "Fe", "Fe", "Fe"],
  "frac_coords": [[0.699, 0.494, 0.041], [0.536, 0.370, 0.318], [0.263, 0.468, 0.924], [0.127, 0.327, 0.649], [0.764, 0.901, 0.842], [0.863, 0.806, 0.165], [0.999, 0.384, 0.315], [0.281, 0.899, 0.850], [0.960, 0.613, 0.616], [0.452, 0.601, 0.619], [0.321, 0.841, 0.167], [0.660, 0.137, 0.771], [0.312, 0.551, 0.242], [0.545, 0.003, 0.507], [0.199, 0.079, 0.104], [0.988, 0.975, 0.446], [0.232, 0.822, 0.547], [0.030, 0.042, 0.616], [0.967, 0.327, 0.658], [0.195, 0.216, 0.846], [0.505, 0.666, 0.927], [0.706, 0.805, 0.174], [0.748, 0.164, 0.412], [0.421, 0.281, 0.660], [0.712, 0.441, 0.827], [0.429, 0.693, 0.347], [0.483, 0.327, 0.014], [0.460, 0.935, 0.344], [0.727, 0.121, 0.181], [0.476, 0.651, 0.691], [0.284, 0.529, 0.157], [0.265, 0.783, 0.104], [0.003, 0.324, 0.250], [0.230, 0.464, 0.839], [0.222, 0.134, 0.173], [0.973, 0.657, 0.691], [0.735, 0.820, 0.536], [0.265, 0.849, 0.778], [0.533, 0.031, 0.591], [0.256, 0.166, 0.409], [0.508, 0.316, 0.248], [0.982, 0.948, 0.361], [0.694, 0.187, 0.843], [0.756, 0.852, 0.770], [0.981, 0.331, 0.020], [0.994, 0.664, 0.922], [0.976, 0.707, 0.338], [0.736, 0.542, 0.116], [0.233, 0.656, 0.820], [0.737, 0.291, 0.120], [0.453, 0.311, 0.830], [0.953, 0.322, 0.840], [0.284, 0.141, 0.574], [0.994, 0.860, 0.647], [0.514, 0.671, 0.096], [0.247, 0.329, 0.124], [0.706, 0.805, 0.359], [0.223, 0.808, 0.376], [0.978, 0.135, 0.304], [0.809, 0.174, 0.586], [0.737, 0.621, 0.818], [0.495, 0.120, 0.303], [0.028, 0.636, 0.098], [0.503, 0.841, 0.644]]
}


No. 2
{
  "formula": "Fe21HO32",
  "functional": "PBE with a Hubbard U",
  "state": "optimized geometry",
  "polymorph_energy_ev_per_fu": 11.66,
  "vol_a3_per_atom": 10.2,
  "sg": "Cmc2_1, No. 36",
  "cell": [[-0.502, -3.970, 7.141], [8.001, 1.215, 1.229], [-3.317, 14.133, 7.625]],
  "species": ["O", "O", "O", "O", "O", "O", "O", "O", "O", "O", "O", "O", "O", "O", "O", "O", "O", "O", "O", "O", "O", "O", "O", "O", "O", "O", "O", "O", "O", "O", "O", "O", "O", "O", "O", "O", "O", "O", "O", "O", "O", "O", "O", "O", "O", "O", "O", "O", "O", "O", "O", "O", "O", "O", "O", "O", "O", "O", "O", "O", "O", "O", "O", "O", "Fe", "Fe", "Fe", "Fe", "Fe", "Fe", "Fe", "Fe", "Fe", "Fe", "Fe", "Fe", "Fe", "Fe", "Fe", "Fe", "Fe", "Fe", "Fe", "Fe", "Fe", "Fe", "Fe", "Fe", "Fe", "Fe", "Fe", "Fe", "Fe", "Fe", "Fe", "Fe", "Fe", "Fe", "Fe", "Fe", "Fe", "Fe", "Fe", "Fe", "Fe", "Fe", "H", "H"],
+++

Jesus is the most important thing about Christmas, or any other time of the year! Make sure you don’t leave Jesus to the side and focus on things that matter less.